What to do =
Set down all of the data further down without altering anything, please.

Given =
(1)
{"formula": "C5H12OSi", "method": "ωB97M-V/def2-TZVPD", "elements": ["C", "C", "C", "C", "C", "O", "Si", "H", "H", "H", "H", "H", "H", "H", "H", "H", "H", "H", "H"], "xyz": [[-0.4406, -0.6469, -0.5803], [0.4121, 0.3519, -0.3155], [-1.7612, -0.9039, 0.1899], [-0.0547, -1.6078, -1.7473], [1.6426, 0.7364, -1.0353], [0.0888, 1.3428, 0.8584], [0.2007, 1.4831, 2.4578], [-2.6418, -0.8528, -0.4626], [-1.7847, -0.0121, 0.7985], [-1.7750, -1.8013, 0.8174], [-1.0369, -1.6322, -2.2422], [0.2060, -2.6294, -1.5480], [0.7010, -1.1475, -2.3645], [1.5762, 0.6994, -2.1368], [1.9682, 1.6951, -0.5659], [2.3577, 0.0011, -0.8542], [0.2148, 0.1411, 3.1966], [1.2136, 2.5056, 2.6823], [-1.0867, 2.2776, 2.8516]], "mulliken_spin": [0.72, 0.98, 0.00, -0.05, 0.02, 0.03, 0.01, 0.04, -0.01, 0.05, 0.04, 0.05, 0.00, 0.03, 0.00, 0.06, 0.00, 0.00, 0.00], "lumo_ev": [0.9, -1.6], "multiplicity": 3, "relative_energy_kj_mol": 95.3, "gap_ev": [5.59, 8.72], "homo_ha": [-0.172, -0.379]}

***

(2)
{"formula": "C5H9N3OS", "method": "ωB97M-V/def2-TZVPD", "elements": ["C", "C", "C", "C", "C", "N", "N", "N", "O", "S", "H", "H", "H", "H", "H", "H", "H", "H", "H"], "xyz": [[0.1240, -0.0800, -0.4136], [2.9034, -0.0409, 0.4244], [-1.0865, 1.3144, 1.0972], [-1.8687, 1.1644, -1.1628], [3.6630, -2.1840, -0.0071], [0.7814, -0.9946, -0.6323], [2.8167, 1.1093, 0.2330], [-0.9307, 0.6207, -0.1637], [3.4868, -1.0636, 0.8772], [2.4664, 2.6380, 0.1189], [-2.0591, 1.5768, 1.2569], [-0.8034, 0.6184, 1.9165], [-0.6258, 2.3133, 1.1943], [-2.8933, 1.1118, -0.8124], [-1.6439, 2.3003, -1.4345], [-1.7811, 0.7304, -2.1929], [4.2088, -2.8065, 0.6775], [4.1603, -1.7155, -0.8979], [2.7460, -2.6629, -0.4355]], "mulliken_spin": [0.02, 0.97, 0.02, 0.01, 0.01, -0.02, 0.14, 0.01, 0.01, 0.85, 0.00, 0.00, -0.01, 0.00, 0.00, 0.00, 0.00, 0.00, 0.00], "lumo_ev": [0.7, -1.7], "multiplicity": 3, "relative_energy_kj_mol": 245.4, "gap_ev": [5.45, 6.65], "homo_ha": [-0.173, -0.306]}

***

(3)

Outcome =
(1)
{"formula": "C5H12OSi", "method": "ωB97M-V/def2-TZVPD", "elements": ["C", "C", "C", "C", "C", "O", "Si", "H", "H", "H", "H", "H", "H", "H", "H", "H", "H", "H", "H"], "xyz": [[-0.4406, -0.6469, -0.5803], [0.4121, 0.3519, -0.3155], [-1.7612, -0.9039, 0.1899], [-0.0547, -1.6078, -1.7473], [1.6426, 0.7364, -1.0353], [0.0888, 1.3428, 0.8584], [0.2007, 1.4831, 2.4578], [-2.6418, -0.8528, -0.4626], [-1.7847, -0.0121, 0.7985], [-1.7750, -1.8013, 0.8174], [-1.0369, -1.6322, -2.2422], [0.2060, -2.6294, -1.5480], [0.7010, -1.1475, -2.3645], [1.5762, 0.6994, -2.1368], [1.9682, 1.6951, -0.5659], [2.3577, 0.0011, -0.8542], [0.2148, 0.1411, 3.1966], [1.2136, 2.5056, 2.6823], [-1.0867, 2.2776, 2.8516]], "mulliken_spin": [0.72, 0.98, 0.00, -0.05, 0.02, 0.03, 0.01, 0.04, -0.01, 0.05, 0.04, 0.05, 0.00, 0.03, 0.00, 0.06, 0.00, 0.00, 0.00], "lumo_ev": [0.9, -1.6], "multiplicity": 3, "relative_energy_kj_mol": 95.3, "gap_ev": [5.59, 8.72], "homo_ha": [-0.172, -0.379]}

***

(2)
{"formula": "C5H9N3OS", "method": "ωB97M-V/def2-TZVPD", "elements": ["C", "C", "C", "C", "C", "N", "N", "N", "O", "S", "H", "H", "H", "H", "H", "H", "H", "H", "H"], "xyz": [[0.1240, -0.0800, -0.4136], [2.9034, -0.0409, 0.4244], [-1.0865, 1.3144, 1.0972], [-1.8687, 1.1644, -1.1628], [3.6630, -2.1840, -0.0071], [0.7814, -0.9946, -0.6323], [2.8167, 1.1093, 0.2330], [-0.9307, 0.6207, -0.1637], [3.4868, -1.0636, 0.8772], [2.4664, 2.6380, 0.1189], [-2.0591, 1.5768, 1.2569], [-0.8034, 0.6184, 1.9165], [-0.6258, 2.3133, 1.1943], [-2.8933, 1.1118, -0.8124], [-1.6439, 2.3003, -1.4345], [-1.7811, 0.7304, -2.1929], [4.2088, -2.8065, 0.6775], [4.1603, -1.7155, -0.8979], [2.7460, -2.6629, -0.4355]], "mulliken_spin": [0.02, 0.97, 0.02, 0.01, 0.01, -0.02, 0.14, 0.01, 0.01, 0.85, 0.00, 0.00, -0.01, 0.00, 0.00, 0.00, 0.00, 0.00, 0.00], "lumo_ev": [0.7, -1.7], "multiplicity": 3, "relative_energy_kj_mol": 245.4, "gap_ev": [5.45, 6.65], "homo_ha": [-0.173, -0.306]}

***

(3)